Change Status


In preparation for the City's Workday implementation, effective 8/13/24, updates to an active employee’s home phone number in EV5/Workday will automatically update the home phone number on file at SCERS.  Updates to a rehired retiree’s personal information (e.g. name, address, phone, email address) in EV5/Workday will no longer automatically update the information on file at SCERS. Rehired retirees will need to submit a contact change form from the SCERS website or MSS portal. 

It is important to keep your information up to date with Seattle City Employees' Retirement System.  Please note that active members should change their primary work phone number, home address, and personal email through Employee Self-Service (ESS).  Other changes such as to their name, marital status, gender, or work email must be made through their department. 

Personal information entered on forms is subject to the Washington Public Records Act, and may be subject to disclosure to a third-party requestor.  At the City of Seattle, we are committed to protecting your privacy and will ensure that any disclosures are done according to law.  To learn more about how this information is managed, please see our Privacy Statement.

Forms may be submitted as follows:

 Document Name  Email   Fax   Mail   Secure Message via MSS Portal  
Beneficiary Designation Form           X X
Change Form    X X X
Disability Retirement Application Form   X X X
Withdrawal of Contributions - Beneficiary Application     X  
Withdrawal of Contributions - Member Application     X

  • Fax Change Forms to (206) 386-1506.  Disability Retirement Application Forms should be faxed to (206) 470-6767.
  • Mail to SCERS, 720 3rd Avenue, Suite 900, Seattle WA  98104 or come by our offices to drop them off.  Our customer service window is open on Tuesdays, Wednesdays, and Thursdays.  Please call the building security guard at (206) 276-5782 to be let in the building if the front doors are locked.
  • Send the document via secure message on your Member Self-Service account

Please feel free to contact us at (206) 386-1293 if you have questions.

If you have a spouse or registered domestic partner, this person is automatically designated as your beneficiary in accordance with the Seattle Municipal Code. If you are not married, even if you are in a domestic partnership, you can designate and change your beneficiary at will. If you are married, your spouse will have to give signed consent, called "spousal waiver," for you to designate someone other than your spouse as your beneficiary.

If you wish to change your beneficiary, we need to receive your request in writing using the Change of Beneficiary form. You must name at least one primary beneficiary.  Your form must be notarized.

Your annual statement and other Retirement System information will be mailed to the address SCERS's has on file.  Current City of Seattle employees should make any address changes through Employee Self-Service.  If you are a vested member, please use the Change form

If you are a vested member, please file a Change form with Seattle City Employees' Retirement System to change your name or contact information.  This will change the name or contact information (mailing address, phone number, and email address) where SCERS sends all retirement account information.

Active members (members who are currently employed with the City of Seattle) should initiate name changes through their department.

Your retirement benefits are considered marital property that must be taken into account when property is divided in a marital dissolution. Our document Questions and Answers About Qualified Domestic Relations Orders explains the rules and offers sample language for these orders. Feel free to contact a Seattle City Employees' Retirement System retirement specialist for additional help.

If you are a member who is no longer employable in any City position due to a totally disabling medical condition, you may be eligible for permanent disability retirement if you meet one of the following conditions:

Between two parts of the text: records of molecules.
Entry 1:
One molecule with the formula C6H7NO3. Source: OMol25; level of theory: ωB97M-V/def2-TZVPD.

Summary:
DFT total energy (Eh): -513.10342
ΔE to the lowest compared entry with this formula, charge and spin (kJ/mol): 550.57
Highest occupied orbital energy (eV): -8.596
Spin multiplicity: 1

Geometry as XYZ:
```
17
C6H7NO3 ωB97M-V/def2-TZVPD
O -1.969 -1.619 0.176
O 2.349 -0.031 0.220
O -3.113 0.403 0.115
N -0.785 0.189 -0.232
C 0.126 -0.940 -0.209
C -2.017 -0.311 0.011
C -0.680 -1.977 0.030
C 3.798 0.016 0.103
C -2.885 1.817 -0.003
C 1.901 -1.122 -0.280
H 4.280 -0.977 -0.158
H -2.595 2.250 0.956
H -0.482 -3.057 0.137
H 4.013 0.623 -0.896
H -3.939 2.221 -0.059
H 4.045 0.679 0.947
H -2.048 1.836 -0.856
```

These are the natural (NBO) partial charges, in e, on atoms 1 to 5: -0.4142 -0.4778 -0.4789 -0.5948 -0.0472

***

Entry 2:
C12H26Cl3N7OSSiTa as an isolated structure. Source: OMol25; level of theory: ωB97M-V/def2-TZVPD.

Summary:
DFT total energy (Eh): -3055.83442
ΔE to the lowest compared entry with this formula, charge and spin (kJ/mol): 61.98
Highest occupied orbital energy (eV): -17.570
Spin multiplicity: 1
Total charge: +3

Geometry as XYZ:
```
52
C12H26Cl3N7OSSiTa ωB97M-V/def2-TZVPD
Ta -0.012 -0.393 -0.651
Cl -0.048 -2.720 0.085
Cl 3.100 -3.147 -1.176
Cl 0.669 -3.355 -3.199
S 1.295 -1.188 3.436
Si 1.179 -2.411 -1.465
O -1.339 -0.555 -1.929
N -2.160 -0.641 -4.061
N -1.063 -0.440 1.345
N 1.215 0.576 -2.332
N -0.308 1.752 -0.360
N -3.276 -1.402 0.283
N -4.899 -2.657 -4.017
N 1.941 0.033 0.475
C 0.863 2.070 -2.513
C 2.140 1.518 0.363
C -3.394 -1.717 -0.813
C 0.813 2.293 0.527
C -1.818 0.862 1.512
C -2.296 -1.039 -2.794
C 1.649 -0.014 4.778
C 2.263 -2.675 3.868
C -3.317 -1.772 -2.224
C -4.279 -2.355 -3.098
C -1.647 1.847 0.366
C -0.354 2.471 -1.664
H 1.782 -0.202 1.458
H -0.483 -0.677 2.190
H 0.970 3.359 0.311
H 1.194 -0.367 5.739
H 2.703 0.105 4.915
H -1.267 2.253 -2.182
H -2.872 0.603 1.550
H -3.006 -0.649 -4.605
H 3.298 -2.474 4.149
H 2.196 0.481 -2.185
H 0.473 2.168 1.571
H 2.863 1.856 1.138
H 1.797 -3.121 4.763
H -1.750 2.859 0.795
H 0.723 2.285 -3.581
H -0.330 3.583 -1.476
H 2.807 -0.446 0.245
H -2.425 1.713 -0.383
H -1.251 -0.426 -4.473
H 2.658 1.751 -0.557
H 2.243 -3.347 3.041
H 1.050 0.115 -3.229
H -1.805 -1.129 1.295
H -1.435 1.238 2.477
H 1.796 2.604 -2.241
H 1.153 0.922 4.535
```

These are the natural (NBO) partial charges, in e, on atoms 1 to 5: 1.8065 -0.0648 -0.2333 -0.2287 0.0832

***

Entry 3:
CCl2Na3O11 as an isolated structure. Source: OMol25; level of theory: ωB97M-V/def2-TZVPD.

Summary:
DFT total energy (Eh): -2272.41554
Highest occupied orbital energy (alpha / beta) (eV): -7.923 / -8.371
Spin multiplicity: 2
<S²>: 0.758

Geometry as XYZ:
```
17
CCl2Na3O11 ωB97M-V/def2-TZVPD
Cl -2.878 -0.922 2.040
Cl 0.835 1.864 -0.006
Na -0.350 -1.552 -1.415
Na 3.256 0.014 2.252
Na -1.875 3.244 2.242
O 2.753 -0.682 -3.941
O 1.681 -2.304 -4.098
O 1.312 0.589 -0.332
O -2.687 -1.690 0.840
O -2.495 -1.753 3.071
O 2.183 -1.538 -2.207

  • You are permanently and totally disabled due to an on-the-job injury, regardless of your length of service with the City, or
  • You are permanently and totally disabled due to an illness or injury, and you have at least 10 years of service with the City over a period of no more than 15 years immediately preceding retirement

More information is available at Rules and Procedures for Disability Retirement and on the Application for Disability Retirement.

If you are leaving the City, but not retiring, please review Leaving Your Job With The City?.  The publication provides useful information on whether or not you should withdraw your funds, time limits, common scenarios, service credit purchases, and other common questions.

If you are leaving City Employment and have at least five years of service credit, your contributions will automatically be left in the Retirement System unless you complete the Member Application for Withdrawal of Contributions.

Contribution accounts of members with less than five years of service credit stop receiving interest two years after the member has terminated employment with the City.

If you have been diagnosed with a terminal illness, you may have the option to withdraw your Retirement System contributions. Please contact us to review your options.

Withdrawing contributions has income tax implications.  For more information, see the "IRS Special Tax Notice Regarding Plan Payments (IRS Safe Harbor Notice)".

Before your application for withdrawal can be processed, you must first be separated in the payroll system (i.e., received your last paycheck from your home department and any payouts) and submitted all required documents to SCERS.

(Data records, kept here for reference)
ORCA calculation (the ωB97M-V functional and the def2-TZVPD basis) on a molecular structure, C25H22N5O2Pt in a non-equilibrium geometry.

Calculated values
Net charge: +1
Lowest unoccupied orbital energy (spin up / spin down), eV: -5.74 / -5.74
Energy above the lowest of the compared OMol25 structures with the same formula, charge and spin, kJ/mol: 560.1
Total energy, a.u.: -1508.972829

Geometry (Å):
Pt: -0.062 -0.258 0.287
O: -1.630 5.514 6.003
O: 0.519 5.398 5.526
N: -1.904 -0.912 0.552
N: -4.725 0.984 0.162
N: -7.090 0.318 0.448
N: -1.306 0.882 1.510
N: -0.873 -1.696 -1.129
C: 0.070 2.504 2.609
C: -2.316 2.583 2.916
C: -1.199 1.978 2.330
C: 5.130 2.629 -0.719
C: 2.986 -0.181 1.818
C: 0.221 3.508 3.532
C: -2.150 3.605 3.840
C: -2.478 0.198 1.235
C: -3.578 1.016 0.355
C: 3.026 -1.851 -0.050
C: -2.123 -1.539 -0.623
C: -3.070 -2.739 -2.422
C: -0.709 -2.363 -2.271
C: 2.991 -0.330 0.291
C: -0.887 4.045 4.196
C: 5.200 -0.134 -1.002
C: -5.985 0.606 0.323
C: 6.197 2.028 -1.373
C: -1.786 -2.913 -2.942
C: 6.223 0.651 -1.520
C: 1.720 0.091 -0.343
C: -3.258 -2.036 -1.243
C: -0.597 5.042 5.282
C: 4.109 1.848 -0.204
C: 4.142 0.457 -0.321
H: 7.043 0.179 -2.047
H: 2.142 -0.717 2.256
H: 7.001 2.633 -1.771
H: -3.926 -3.154 -2.938
H: -3.316 2.253 2.657
H: 0.300 -2.454 -2.653
H: 3.262 2.323 0.284
H: 3.025 -2.027 -1.126
H: -3.033 -0.088 2.141
H: 0.918 2.068 2.094
H: 1.196 3.902 3.784
H: 5.088 3.706 -0.620
H: 3.925 -2.285 0.387
H: 2.158 -2.346 0.386
H: 5.243 -1.207 -1.134
H: 1.854 0.470 -1.363
H: 2.935 0.866 2.113
H: -1.626 -3.477 -3.849
H: 3.911 -0.592 2.224
H: -4.235 -1.928 -0.790
H: -2.482 5.159 5.725
H: -3.041 4.047 4.272

ORCA calculation (the ωB97M-V functional and the def2-TZVPD basis) on a molecular structure, C25H22N7O3STi in a non-equilibrium geometry.

Calculated values
Net charge: +1
Lowest unoccupied orbital energy (spin up / spin down), eV: -3.13 / -3.29
Spin multiplicity: 3
Energy above the lowest of the compared OMol25 structures with the same formula, charge and spin, kJ/mol: 136.9
Total energy, a.u.: -2822.413330

Geometry (Å):
Ti: 0.335 0.305 -0.222
S: -0.107 -2.586 -0.589
O: 2.203 6.766 -1.360
O: -0.064 6.991 -1.512
O: 0.105 -1.285 -1.427
N: 2.294 -1.976 4.117
N: 1.237 -1.391 6.077
N: 0.550 -0.405 4.162
N: 0.464 0.190 1.788
N: 2.399 0.454 -0.415
N: -1.651 0.948 -0.290
N: 0.547 2.177 -0.664
C: 1.968 4.055 -1.038
C: 4.222 1.968 -0.763
C: -4.184 1.987 -0.741
C: -2.765 0.217 -0.051
C: -2.415 -3.834 0.034
C: -0.416 4.302 -1.142
C: -1.742 -3.112 -0.941
C: 3.307 -0.543 -0.280
C: 2.853 1.707 -0.655
C: 0.544 -0.163 2.891
C: 1.018 6.382 -1.396
C: 0.789 -3.787 -1.516
C: -1.807 2.228 -0.704
C: -2.318 -2.762 -2.155
C: 1.366 -1.244 4.762
C: -0.559 2.969 -0.861
C: -3.718 -4.234 -0.228
C: 5.120 0.941 -0.642
C: -3.071 2.766 -0.932
C: -4.317 -3.896 -1.435
C: 4.653 -0.358 -0.394
C: 1.808 2.712 -0.792
C: -3.622 -3.167 -2.395
C: 0.856 4.871 -1.208
C: -4.032 0.678 -0.278
H: 1.854 -3.591 -1.398
H: -4.098 -2.910 -3.333
H: -1.773 -2.170 -2.880
H: 5.332 -1.193 -0.290

To report the death of an active member, please contact us. We are here to help ensure that beneficiaries receive their benefits. We will need a copy of a death certificate in order to process any benefits.

If an active member dies before retirement, there are different ways that contributions to the retirement fund may be handled:

  • A lump sum payment or installment payments of all employee contributions and interest made to either the member's beneficiary or estate.
  • If at the time of death the member has ten years of retirement service credit, the member's spouse or domestic partner may elect to receive the lump sum or installment payment referenced above, or one of the following:
    • A benefit equal to what the member would have received under the provisions of Retirement Option E, had the member retired on the day of death; or
    • A cash payment, not to exceed 50 percent of total employee contributions and interest, along with the monthly retirement benefit described above that is proportionately reduced by the amount of the cash payment.

A retirement specialist can walk you through these options.


Jeffrey S. Davis, Executive Director
Address: 720 3rd Ave, 9th Floor, Seattle, WA, 98104
Phone: (206) 386-1293
Fax: (206) 386-1506
Contact Us

The City of Seattle Employees' Retirement Office has two major functions: administration of retirement benefits and management of the assets of the Retirement Fund. Employee and employer contributions as well as investment earnings provide funding for the System.

The Mission of SCERS is to fulfill the promise made to our members by delivering the retirement benefits they have earned.